**Contents:**
<<<
# Hf6Ga16Ni7 (PBE, relaxed)
data_Hf6Ga16Ni7
_space_group_name_H-M_alt 'F m -3 m'
_space_group_IT_number 225
_space_group_name_Hall '-F 4 2 3'
_cell_length_a 12.0453
_cell_length_b 12.0453
_cell_length_c 12.0453
_cell_angle_alpha 90.00
_cell_angle_beta 90.00
_cell_angle_gamma 90.00
loop_
_atom_site_label
_atom_site_fract_x
_atom_site_fract_y
_atom_site_fract_z
_atom_site_occupancy
Hf1 0.0000 0.0000 0.1903 1
Ga1 0.1196 0.1196 0.3804 1
Ga2 0.1621 0.1621 0.1621 1
Ni1 0.0000 0.0000 0.5000 1
Ni2 0.0000 0.2500 0.2500 1
# Spin magnetization in μB per atom: 0.00
# Energy of formation in eV per atom: -0.459
# Electronic total energy in eV for the cell shown: -647.91

---

# Ca2GeO4 (PBE, relaxed)
data_Ca2GeO4
_space_group_name_H-M_alt 'P n m a'
_space_group_IT_number 62
_space_group_name_Hall '-P 2ac 2n'
_cell_length_a 11.5196
_cell_length_b 6.8495
_cell_length_c 5.2916
_cell_angle_alpha 90.00
_cell_angle_beta 90.00
_cell_angle_gamma 90.00
loop_
_atom_site_label
_atom_site_fract_x
_atom_site_fract_y
_atom_site_fract_z
_atom_site_occupancy
Ca1 0.0000 0.0000 0.0000 1
Ca2 0.2201 0.2500 0.4932 1
Ge1 0.0960 0.7500 0.4307 1
O1 0.0463 0.2500 0.7135 1
O2 0.0927 0.7500 0.7641 1
O3 0.1637 0.5436 0.2837 1
# Excess energy over the best structure of this formula in the dataset in meV per atom: 0
# Energy of formation in eV per atom: -2.990
# Electronic total energy in eV for the cell shown: -186.44

---

# Nd3PbN (PBE, relaxed)
data_Nd3PbN
_space_group_name_H-M_alt 'P m -3 m'
_space_group_IT_number 221
_space_group_name_Hall '-P 4 2 3'
_cell_length_a 5.0444
_cell_length_b 5.0444
_cell_length_c 5.0444
_cell_angle_alpha 90.00
_cell_angle_beta 90.00
_cell_angle_gamma 90.00
loop_
_atom_site_label
_atom_site_fract_x
_atom_site_fract_y
_atom_site_fract_z
_atom_site_occupancy
Nd1 0.0000 0.0000 0.5000 1
Pb1 0.5000 0.5000 0.5000 1
N1 0.0000 0.0000 0.0000 1
# Excess energy over the best structure of this formula in the dataset in meV per atom: 0
# Energy of formation in eV per atom: -0.939
# Electronic total energy in eV for the cell shown: -30.69

* * * * *

Entry 1:
Na4FeO5: optimized geometry, PBE+U.

- SG = Pm
- excess energy over the best structure of this formula in the dataset (eV per atom) = 0.049
- theoretical density (Mg/m³) = 2.98
- calculated formation energy (meV per atom) = -1440
- crystal system = monoclinic

Cell: 4.571 7.457 14.890 Å, 89.95 90.00 90.00°
Element x y z (fractional)
Fe1 0.000 0.000 0.000
O1 0.000 0.933 0.119
O2 0.500 0.000 0.000
O3 0.500 0.738 0.283
Na1 0.500 0.105 0.854
O4 0.500 0.433 0.869
O5 0.500 0.000 0.500
O6 0.500 0.739 0.784
Na2 0.500 0.292 0.552
Na3 0.500 0.708 0.948
Na4 0.500 0.894 0.646
O7 0.000 0.762 0.467
O8 0.000 0.066 0.881
Na5 0.000 0.791 0.302
Na6 0.000 0.209 0.197
Na7 0.500 0.292 0.053
Na8 0.500 0.106 0.354
Na9 0.500 0.894 0.146
Na10 0.000 0.606 0.104
O9 0.500 0.433 0.369
Na11 0.000 0.791 0.803
Fe2 0.500 0.501 0.750
O10 0.500 0.261 0.717
O11 0.000 0.238 0.533
Na12 0.000 0.394 0.896
O12 0.000 0.933 0.620
Na13 0.000 0.394 0.395
O13 0.000 0.066 0.381
O14 0.000 0.762 0.967
O15 0.000 0.238 0.033
Na14 0.000 0.606 0.604
O16 0.500 0.262 0.217
O17 0.500 0.567 0.630
O18 0.000 0.500 0.250
Fe3 0.000 0.000 0.500
O19 0.000 0.500 0.750
O20 0.500 0.566 0.131
Na15 0.500 0.709 0.447
Na16 0.000 0.208 0.697
Fe4 0.500 0.500 0.250

***

Entry 2:
MnFe2P2O18: optimized geometry, PBE+U.

- SG = P-1
- excess energy over the best structure of this formula in the dataset (eV per atom) = 0.000
- theoretical density (Mg/m³) = 2.48
- calculated formation energy (meV per atom) = -1019
- crystal system = triclinic

Cell: 5.412 7.076 9.961 Å, 96.42 101.37 109.57°
Element x y z (fractional)
Fe1 0.000 0.000 0.000
O1 0.587 0.416 0.338
O2 0.114 0.372 0.407
O3 0.118 0.791 0.017
O4 0.886 0.628 0.593
P1 0.505 0.588 0.823
Fe2 0.000 0.500 0.000
O5 0.749 0.513 0.129
O6 0.866 0.959 0.219
Mn1 0.500 0.500 0.500
O7 0.296 0.528 0.161
O8 0.806 0.761 0.533
O9 0.413 0.584 0.662
O10 0.350 0.042 0.758
P2 0.495 0.412 0.177
O11 0.650 0.817 0.896
>>>
**Wanted:**
The reader should count the lines above that contain the word "fractional" and give the number alone.
**Done:**
2